(Assignment)
Now retype the lines below up to the one that holds "3.304", that line included.

(Listing)
/*
Entry 1:
## Tb3PrRu (PBE)

Data for Tb3PrRu after structural relaxation.

- E above lowest polymorph (meV per atom) = 92
- calculated total energy (eV/cell) = -28.30
- ΔE_f (eV per formula unit) = -0.4
- total magnetic moment (μB per cell) = 0.943

Cell: 5.4340 5.4340 5.4340 Å, 90.00 90.00 90.00°
Atoms (fractional coordinates):
Tb1 0.0000 0.0000 0.5000
Tb2 0.0000 0.5000 0.0000
Tb3 0.5000 0.0000 0.0000
Pr1 0.5000 0.5000 0.5000
Ru1 0.0000 0.0000 0.0000



Entry 2:
## NaLiFe2I6 (PBE)

Data for NaLiFe2I6 after structural relaxation.

- formation energy from raw total energies (eV/atom) = -0.510
- calculated total energy (eV/cell) = -69.12
- total magnetic moment (μB per cell) = 16.000

Cell: 10.1707 10.1707 7.8122 Å, 102.44 102.44 85.94°
Atoms (fractional coordinates):
Na1 0.1094 0.8906 0.7500
Na2 0.8906 0.1094 0.2500
Li1 0.2248 0.7752 0.2500
Li2 0.7752 0.2248 0.7500
Fe1 0.2240 0.3851 0.7527
Fe2 0.3851 0.2240 0.2527
Fe3 0.6149 0.7760 0.7473
Fe4 0.7760 0.6149 0.2473
I1 0.0367 0.2007 0.6547
I2 0.1338 0.6180 0.9057
I3 0.2007 0.0367 0.1547
I4 0.2946 0.4315 0.4644
I5 0.3820 0.8662 0.5943
I6 0.4315 0.2946 0.9644
I7 0.5685 0.7054 0.0356
I8 0.6180 0.1338 0.4057
I9 0.7054 0.5685 0.5356
I10 0.7993 0.9633 0.8453
I11 0.8662 0.3820 0.0943
I12 0.9633 0.7993 0.3453



Entry 3:
## LaTl2Pd (PBE)

Data for LaTl2Pd after structural relaxation.

- calculated total energy (eV/cell) = -16.29
- ΔE_f (eV per formula unit) = -1.4
- total magnetic moment (μB per cell) = 0.000

Cell: 4.4880 4.4880 5.1405 Å, 90.00 90.00 90.00°
Atoms (fractional coordinates):
La1 0.0000 0.0000 0.0000
Tl1 0.0000 0.5000 0.5000
Tl2 0.5000 0.0000 0.5000
Pd1 0.5000 0.5000 0.0000



Entry 4:
## TiZnSeBr2 (PBE)

Data for TiZnSeBr2 after structural relaxation.

- formation energy from raw total energies (eV/atom) = -0.474
- E above lowest polymorph (meV per atom) = 0
- calculated total energy (eV/cell) = -18.37
- total magnetic moment (μB per cell) = 0.000

Cell: 5.1887 5.1887 4.9325 Å, 90.00 90.00 90.00°
Atoms (fractional coordinates):
Ti1 0.0000 0.0000 0.0000
Zn1 0.5000 0.5000 0.5000
Se1 0.0000 0.0000 0.5000
Br1 0.0000 0.5000 0.0000
Br2 0.5000 0.0000 0.0000



Entry 5:
## MnTe2Rh (PBE)

Data for MnTe2Rh after structural relaxation.

- formation energy from raw total energies (eV/atom) = -0.181
- calculated total energy (eV/cell) = -23.53
- total magnetic moment (μB per cell) = 3.304

Cell: 3.5573 3.5573 7.2451 Å, 90.00 90.00 90.00°
Atoms (fractional coordinates):
Mn1 0.0000 0.0000 0.0000
Te1 0.0000 0.0000 0.3627
Te2 0.5000 0.5000 0.8381
Rh1 0.5000 0.5000 0.2027



Entry 6:
## K4In5Au3 (PBE)

Data for K4In5Au3 after structural relaxation.

- calculated total energy (eV/cell) = -29.66
- ΔE_f (eV per formula unit) = -1.7
- total magnetic moment (μB per cell) = 0.000

Cell: 6.4330 8.1595 8.4408 Å, 91.31 112.25 100.86°
Atoms (fractional coordinates):
K1 0.0743 0.2625 0.0950
K2 0.1297 0.8543 0.3835
K3 0.8703 0.1457 0.6165
K4 0.9257 0.7375 0.9050
In1 0.3491 0.6131 0.8276
In2 0.4623 0.0000 0.8222
In3 0.5000 0.5000 0.5000
In4 0.5377 0.0000 0.1778
In5 0.6510 0.3869 0.1724
Au1 0.0000 0.5000 0.5000
Au2 0.4407 0.6577 0.1929
Au3 0.5593 0.3423 0.8071



Entry 7:
## ZrPb3C (PBE)

Data for ZrPb3C after structural relaxation.

- E above lowest polymorph (meV per atom) = 602
- calculated total energy (eV/cell) = -20.38
- ΔE_f (eV per formula unit) = 8.5
- total magnetic moment (μB per cell) = 1.824

Cell: 5.7031 5.7031 5.7031 Å, 90.00 90.00 90.00°
Atoms (fractional coordinates):
Zr1 0.0000 0.0000 0.0000
Pb1 0.0000 0.0000 0.5000
Pb2 0.0000 0.5000 0.0000
Pb3 0.5000 0.0000 0.0000
C1 0.5000 0.5000 0.5000



Entry 8:
## AcPuHgIr (PBE)

Data for AcPuHgIr after structural relaxation.

- calculated total energy (eV/cell) = -28.59
- ΔE_f (eV per formula unit) = -1.0
- total magnetic moment (μB per cell) = 5.491

Cell: 5.2794 5.2794 5.2794 Å, 60.00 60.00 60.00°
Atoms (fractional coordinates):
Ac1 0.0000 0.0000 0.0000
Pu1 0.5000 0.5000 0.5000
Hg1 0.7500 0.7500 0.7500
Ir1 0.2500 0.2500 0.2500



Entry 9:
*/

(Solution)
Entry 1:
## Tb3PrRu (PBE)

Data for Tb3PrRu after structural relaxation.

- E above lowest polymorph (meV per atom) = 92
- calculated total energy (eV/cell) = -28.30
- ΔE_f (eV per formula unit) = -0.4
- total magnetic moment (μB per cell) = 0.943

Cell: 5.4340 5.4340 5.4340 Å, 90.00 90.00 90.00°
Atoms (fractional coordinates):
Tb1 0.0000 0.0000 0.5000
Tb2 0.0000 0.5000 0.0000
Tb3 0.5000 0.0000 0.0000
Pr1 0.5000 0.5000 0.5000
Ru1 0.0000 0.0000 0.0000



Entry 2:
## NaLiFe2I6 (PBE)

Data for NaLiFe2I6 after structural relaxation.

- formation energy from raw total energies (eV/atom) = -0.510
- calculated total energy (eV/cell) = -69.12
- total magnetic moment (μB per cell) = 16.000

Cell: 10.1707 10.1707 7.8122 Å, 102.44 102.44 85.94°
Atoms (fractional coordinates):
Na1 0.1094 0.8906 0.7500
Na2 0.8906 0.1094 0.2500
Li1 0.2248 0.7752 0.2500
Li2 0.7752 0.2248 0.7500
Fe1 0.2240 0.3851 0.7527
Fe2 0.3851 0.2240 0.2527
Fe3 0.6149 0.7760 0.7473
Fe4 0.7760 0.6149 0.2473
I1 0.0367 0.2007 0.6547
I2 0.1338 0.6180 0.9057
I3 0.2007 0.0367 0.1547
I4 0.2946 0.4315 0.4644
I5 0.3820 0.8662 0.5943
I6 0.4315 0.2946 0.9644
I7 0.5685 0.7054 0.0356
I8 0.6180 0.1338 0.4057
I9 0.7054 0.5685 0.5356
I10 0.7993 0.9633 0.8453
I11 0.8662 0.3820 0.0943
I12 0.9633 0.7993 0.3453



Entry 3:
## LaTl2Pd (PBE)

Data for LaTl2Pd after structural relaxation.

- calculated total energy (eV/cell) = -16.29
- ΔE_f (eV per formula unit) = -1.4
- total magnetic moment (μB per cell) = 0.000

Cell: 4.4880 4.4880 5.1405 Å, 90.00 90.00 90.00°
Atoms (fractional coordinates):
La1 0.0000 0.0000 0.0000
Tl1 0.0000 0.5000 0.5000
Tl2 0.5000 0.0000 0.5000
Pd1 0.5000 0.5000 0.0000



Entry 4:
## TiZnSeBr2 (PBE)

Data for TiZnSeBr2 after structural relaxation.

- formation energy from raw total energies (eV/atom) = -0.474
- E above lowest polymorph (meV per atom) = 0
- calculated total energy (eV/cell) = -18.37
- total magnetic moment (μB per cell) = 0.000

Cell: 5.1887 5.1887 4.9325 Å, 90.00 90.00 90.00°
Atoms (fractional coordinates):
Ti1 0.0000 0.0000 0.0000
Zn1 0.5000 0.5000 0.5000
Se1 0.0000 0.0000 0.5000
Br1 0.0000 0.5000 0.0000
Br2 0.5000 0.0000 0.0000



Entry 5:
## MnTe2Rh (PBE)

Data for MnTe2Rh after structural relaxation.

- formation energy from raw total energies (eV/atom) = -0.181
- calculated total energy (eV/cell) = -23.53
- total magnetic moment (μB per cell) = 3.304